Could you search the contents below for the word "origin" and repeat each line that has it?
- - -
Record 1
First-principles (SCAN) data for a crystal of ReI3 relaxed with PBEsol, as listed in Alexandria via LeMat-Bulk.

a b c (Å): 8.832 11.120 9.415
angles (deg): 90.00 108.38 90.00
Space group P2_1/m (No. 11)
Symmetry-distinct sites (fractional):
Re: 0.161 0.250 0.359 x2
Re: 0.165 0.138 0.137 x4
I: 0.125 0.750 0.618 x2
I: 0.153 0.591 0.983 x4
I: 0.158 0.004 0.379 x4
I: 0.160 0.250 0.877 x2
I: 0.445 0.250 0.544 x2
I: 0.469 0.088 0.196 x4

Properties
* crystal system: monoclinic



Record 2
First-principles (SCAN) data for a crystal of K2AsRh relaxed with PBEsol, as listed in Alexandria via LeMat-Bulk.

a b c (Å): 2.891 2.891 10.343
angles (deg): 90.00 90.00 90.00
Space group P4/mmm (No. 123)
Symmetry-distinct sites (fractional):
K: 0.000 0.000 0.249 x2
As: 0.500 0.500 0.500 x1
Rh: 0.500 0.500 0.000 x1

Properties
* formation energy from the elements: 30.1 kJ per mole of atoms
* crystal system: tetragonal
* DOS(E_F): 0.54 states/eV/atom



Record 3
First-principles (SCAN) data for a crystal of ZnAgIr2 relaxed with PBEsol, as listed in Alexandria via LeMat-Bulk.

a b c (Å): 5.362 9.184 2.705
angles (deg): 90.00 118.70 90.00
Space group C2/m (No. 12)
Symmetry-distinct sites (fractional):
Zn: 0.000 0.000 0.000 x2
Ag: 0.000 0.500 0.000 x2
Ir: 0.250 0.250 0.500 x4

Properties
* formation energy from the elements: 19.4 kJ per mole of atoms
* crystal system: monoclinic
* DOS(E_F): 0.85 states/eV/atom



| no. | final energy (eV per cell) |
| --- | --- |
| 1 | -1088.33 |
| 2 | -69.37 |
| 3 | -372.55 |

* * * * *

A geometry-optimized Be2TeCl structure, computed with GGA-PBE.

For the density of states at the Fermi level, the calculation gives 0.71 states/eV per atom. Its uncorrected formation energy is 0.0274 eV/atom. For the magnetization, the calculation gives 0.00 μB/f.u.

The space group is I-42d (No. 122) and the conventional cell measures 5.1890, 5.1890 and 11.8372 Å, with angles of 90.00, 90.00 and 90.00 degrees. The inequivalent atoms are Be at (0.2268, 0.2500, 0.1250), Te at (0.0000, 0.0000, 0.5000) and Cl at (0.0000, 0.0000, 0.0000).



A geometry-optimized PdPb2Cl8 structure, computed with GGA-PBE.

Its uncorrected formation energy is -0.7124 eV/atom. For the magnetization, the calculation gives 0.00 μB/f.u.

The space group is C2/m (No. 12) and the conventional cell measures 9.6093, 12.0423 and 7.5081 Å, with angles of 90.00, 98.84 and 90.00 degrees. The inequivalent atoms are Pd at (0.0000, 0.0000, 0.0000), Pb at (0.2185, 0.5000, 0.6081), Cl at (0.0241, 0.5000, 0.2676), Cl at (0.0622, 0.0000, 0.7089) and Cl at (0.1685, 0.1390, 0.0937).



A geometry-optimized Be2TcAg structure, computed with GGA-PBE.

For the density of states at the Fermi level, the calculation gives 0.40 states/eV per atom. As for the energy of formation from the pure elements: 7.00 kcal/mol of atoms. For the magnetization, the calculation gives 0.00 μB/f.u.

The space group is I-4m2 (No. 119) and the conventional cell measures 3.3743, 3.3743 and 8.6516 Å, with angles of 90.00, 90.00 and 90.00 degrees. The inequivalent atoms are Be at (0.0000, 0.0000, 0.0000), Be at (0.0000, 0.5000, 0.2500), Tc at (0.0000, 0.5000, 0.7500) and Ag at (0.0000, 0.0000, 0.5000).



A geometry-optimized Tb5DyTl4 structure, computed with GGA-PBE.

For the density of states at the Fermi level, the calculation gives 1.09 states/eV per atom. As for the energy of formation from the pure elements: -0.48 kcal/mol of atoms. For the magnetization, the calculation gives 0.00 μB/f.u.

The space group is Pmmn (No. 59, origin choice 2) and the conventional cell measures 8.1307, 9.3434 and 8.5539 Å, with angles of 90.00, 90.00 and 90.00 degrees. The inequivalent atoms are Tb at (0.0103, 0.0552, 0.2287), Tb at (0.2500, 0.2500, 0.5820), Dy at (0.2500, 0.7500, 0.1796), Tl at (0.0773, 0.2500, 0.9378) and Tl at (0.2500, 0.5841, 0.5009).



A geometry-optimized Th4RuPtS2 structure, computed with GGA-PBE.
- - -
The space group is Pmmn (No. 59, origin choice 2) and the conventional cell measures 8.1307, 9.3434 and 8.5539 Å, with angles of 90.00, 90.00 and 90.00 degrees. The inequivalent atoms are Tb at (0.0103, 0.0552, 0.2287), Tb at (0.2500, 0.2500, 0.5820), Dy at (0.2500, 0.7500, 0.1796), Tl at (0.0773, 0.2500, 0.9378) and Tl at (0.2500, 0.5841, 0.5009).